Job:
Now echo only the lines underneath with the word "Lowest" in them.

Contents:
{
  "formula": "C7H15O2",
  "method": "ωB97M-V/def2-TZVPD",
  "max_force_ev_per_a": 2.70,
  "de_lowest_kcal_mol": 11.7,
  "homo_ev": -3.98,
  "charge": -1,
  "mol_weight_g_mol": 131.2,
  "species": ["C", "C", "C", "O", "O", "H", "H", "H", "H", "H", "C", "C", "C", "C", "H", "H", "H", "H", "H", "H", "H", "H", "H", "H"],
  "coordinates": [[-0.437, -1.928, -1.876], [1.060, -1.693, -2.080], [-0.705, -2.465, -0.381], [0.126, -2.037, 0.453], [-1.704, -3.179, -0.217], [-1.113, -1.107, -2.077], [-0.665, -2.853, -2.417], [1.266, -1.520, -3.140], [1.602, -2.572, -1.729], [1.398, -0.887, -1.429], [0.036, 1.272, 0.865], [-1.188, 1.794, 0.131], [1.146, 2.297, 1.131], [-0.212, 0.460, 2.142], [0.511, 0.538, 0.208], [-0.952, 2.542, -0.632], [-1.924, 2.193, 0.830], [1.020, 2.910, 2.019], [2.123, 1.806, 1.149], [1.262, 2.904, 0.235], [-1.207, -0.008, 2.112], [0.323, -0.491, 2.097], [-0.130, 1.025, 3.071], [-1.635, 0.996, -0.465]],
  "mulliken_charge": [-0.361, -0.961, 0.474, -0.685, -0.759, 0.263, 0.272, 0.334, 0.243, 0.192, 1.896, -1.389, -1.497, -1.392, -0.728, 0.356, 0.341, 0.335, 0.389, 0.361, 0.359, 0.294, 0.362, 0.301]
}

~~~~~

## P
This record from the OMol25 dataset describes a 10-piece molecular cluster, C10H36F3N18O12S overall. The level of theory is ωB97M-V/def2-TZVPD.

Results
HOMO energy: -7.0 eV
Lowest unoccupied orbital energy: 2.01 eV

```
! wB97M-V def2-TZVPD RIJCOSX def2/J DEFGRID3
* xyz -1 1
C -1.767 -0.280 1.317
F -2.744 0.452 0.777
F -1.982 -0.376 2.621
F -1.796 -1.489 0.740
S -0.151 0.582 0.977
O 0.930 -0.338 1.303
O -0.200 0.974 -0.422
O -0.186 1.698 1.902
C 0.413 -2.776 4.573
O 0.598 -3.153 5.719
N 0.798 -1.549 4.148
N -0.281 -3.510 3.642
H 0.640 -1.230 3.205
H 1.212 -0.943 4.828
H -0.356 -3.224 2.685
H -0.627 -4.392 3.967
C 4.282 -1.645 0.821
O 3.830 -2.492 1.576
N 5.615 -1.546 0.528
N 3.516 -0.653 0.247
H 5.924 -0.809 -0.080
H 6.265 -2.273 0.754
H 3.676 -0.368 -0.702
H 2.584 -0.613 0.659
C -3.377 0.601 -3.579
O -3.473 -0.400 -2.894
N -4.183 0.854 -4.665
N -2.497 1.614 -3.302
H -4.075 1.740 -5.128
H -4.751 0.176 -5.131
H -1.754 1.445 -2.653
H -2.543 2.436 -3.873
C -4.771 -3.516 3.792
O -5.586 -2.693 4.163
N -3.417 -3.266 3.831
N -5.099 -4.729 3.239
H -3.198 -2.352 4.183
H -2.751 -3.962 3.575
H -4.415 -5.133 2.626
H -6.068 -4.961 3.140
C -2.312 5.381 0.486
O -1.653 6.163 1.153
N -2.361 4.028 0.725
N -3.214 5.831 -0.434
H -2.683 3.567 -0.118
H -1.678 3.468 1.207
H -3.759 5.200 -0.989
H -3.228 6.821 -0.583
C 3.198 3.588 1.944
O 4.181 3.892 1.284
N 2.819 2.283 2.082
N 2.449 4.485 2.635
H 1.990 1.962 2.548
H 3.262 1.685 1.403
H 2.776 5.415 2.803
H 1.567 4.213 3.030
C 0.899 -0.537 -4.819
O 0.718 0.347 -5.645
N 1.412 -1.753 -5.172
N 0.551 -0.438 -3.503
H 1.579 -2.472 -4.490
H 1.487 -1.929 -6.154
H 0.458 -1.284 -2.947
H 0.071 0.408 -3.253
C 1.377 -3.280 -1.303
O 0.939 -2.991 -2.410
N 0.632 -3.115 -0.175
N 2.625 -3.815 -1.091
H -0.299 -2.794 -0.375
H 0.923 -3.277 0.771
H 3.077 -4.267 -1.865
H 2.749 -4.246 -0.187
C 1.585 2.669 -2.919
O 2.025 3.226 -3.899
N 0.252 2.736 -2.537
N 2.370 1.985 -2.010
H 0.037 2.250 -1.671
H -0.246 3.536 -2.878
H 1.858 1.294 -1.482
H 3.330 1.863 -2.270
*
```

Mulliken atomic charge list, values in e, 6 entries: C 0.449; F -0.189; F -0.217; F -0.250; S 0.909; O -0.356


## Q
This record from the OMol25 dataset describes a 10-piece molecular cluster, C10H36F3N18O12S overall. The level of theory is ωB97M-V/def2-TZVPD.

Results
HOMO energy: -7.3 eV
Lowest unoccupied orbital energy: 2.27 eV

```
! wB97M-V def2-TZVPD RIJCOSX def2/J DEFGRID3
* xyz -1 1
C -19.729 1.043 2.493
F -19.814 0.123 1.552
F -19.609 2.229 1.852
F -20.909 1.128 3.202
S -18.474 0.830 3.731
O -18.459 2.125 4.382
O -18.927 -0.283 4.558
O -17.352 0.516 2.864
C -21.304 1.131 7.794
O -21.073 1.768 8.798
N -20.358 0.840 6.788
N -22.478 0.497 7.593
H -19.436 1.285 7.015
H -20.617 0.515 5.869
H -23.286 0.646 8.162
H -22.652 0.095 6.721
C -15.518 0.610 7.045
O -15.683 -0.346 7.818
N -16.114 0.808 5.827
N -14.595 1.648 7.294
H -15.605 1.385 5.197

Completed:
Lowest unoccupied orbital energy: 2.01 eV
Lowest unoccupied orbital energy: 2.27 eV